[Data]
The following is a PBE calculation of a relaxed CaCo2Te2 crystal, from the Alexandria database.

Results
Crystal system = tetragonal
E = -4.87 eV per atom
Uncorrected formation energy = -0.37 eV/atom
Total moment = 1.877 μB/cell
Symmetry = I4/mmm, No. 139

Cell lengths 4.0875, 4.0875, 6.9801 Å; angles 72.97, 72.97, 90.00 degrees
Last column: nearest neighbours and their distance in Å.
Element x y z (fractional)
Ca 0.0000 0.0000 0.0000  8 Te 3.37
Te 0.3639 0.3639 0.2723  4 Co 2.50
Te 0.6361 0.6361 0.7277  4 Co 2.50
Co 0.7500 0.2500 0.5000  4 Te 2.50
Co 0.2500 0.7500 0.5000  4 Te 2.50



The following is a PBE calculation of a relaxed Ca4CoTe2 crystal, from the Alexandria database.

Results
Crystal system = tetragonal
E = -3.69 eV per atom
Uncorrected formation energy = -0.64 eV/atom
Total moment = 0.000 μB/cell
Symmetry = I4/mmm, No. 139

Cell lengths 5.0537, 5.0537, 8.9866 Å; angles 73.67, 73.67, 90.00 degrees
Last column: nearest neighbours and their distance in Å.
Element x y z (fractional)
Ca 0.1673 0.1673 0.6653  1 Co 2.76
Ca 0.8327 0.8327 0.3347  1 Co 2.76
Ca 0.0000 0.5000 0.0000  2 Co 2.53
Ca 0.5000 0.0000 0.0000  2 Co 2.53
Te 0.3581 0.3581 0.2838  5 Ca 3.15-3.44
Te 0.6419 0.6419 0.7162  5 Ca 3.15-3.44
Co 0.0000 0.0000 0.0000  6 Ca 2.53-2.76



The following is a PBE calculation of a relaxed CaCo2Te crystal, from the Alexandria database.

Results
Crystal system = cubic
E = -4.50 eV per atom
Uncorrected formation energy = 0.34 eV/atom
Total moment = 2.864 μB/cell
Symmetry = F-43m, No. 216

Cell lengths 4.7083, 4.7083, 4.7083 Å; angles 60.00, 60.00, 60.00 degrees
Last column: nearest neighbours and their distance in Å.
Element x y z (fractional)
Ca 0.5000 0.5000 0.5000  4 Co 2.88, 4 Te 2.88
Te 0.7500 0.7500 0.7500  4 Co 2.88, 4 Ca 2.88
Co 0.0000 0.0000 0.0000  4 Te 2.88, 4 Co 2.88
Co 0.2500 0.2500 0.2500  4 Co 2.88, 4 Ca 2.88



The following is a PBE calculation of a relaxed CaCo2Te crystal, from the Alexandria database.

Results
Crystal system = tetragonal
E = -4.78 eV per atom
Uncorrected formation energy = 0.06 eV/atom
Total moment = 3.728 μB/cell
Symmetry = I-42d, No. 122

Cell lengths 4.6375, 4.6375, 9.1399 Å; angles 75.30, 75.30, 90.00 degrees
Last column: nearest neighbours and their distance in Å.
Element x y z (fractional)
Ca 0.5000 0.5000 0.0000  8 Co 3.25-3.47, 4 Te 3.28
Ca 0.2500 0.7500 0.5000  8 Co 3.25-3.47, 4 Te 3.28
Te 0.0000 0.0000 0.0000  4 Co 2.43
Te 0.7500 0.2500 0.5000  4 Co 2.43
Co 0.8395 0.1250 0.2500  2 Co 2.34, 2 Te 2.43
Co 0.9105 0.6250 0.2500  2 Co 2.34, 2 Te 2.43
Co 0.3750 0.1605 0.7500  2 Co 2.34, 2 Te 2.43
Co 0.8750 0.0895 0.7500  2 Co 2.34, 2 Te 2.43



The following is a PBE calculation of a relaxed CaCo2Te crystal, from the Alexandria database.

Results
Crystal system = monoclinic
E = -4.68 eV per atom
Uncorrected formation energy = 0.16 eV/atom
Total moment = 1.927 μB/cell
Symmetry = P2/m, No. 10

Cell lengths 4.2974, 4.3074, 5.6840 Å; angles 40.83, 90.00, 90.00 degrees
Last column: nearest neighbours and their distance in Å.
Element x y z (fractional)
Ca 0.0000 0.0000 0.5000  8 Co 2.84-2.85, 4 Te 3.04
Te 0.5000 0.5000 0.5000  8 Co 2.84-2.85, 4 Ca 3.04
Co 0.0000 0.0000 0.0000  4 Te 2.84, 4 Ca 2.84-2.85, 4 Co 3.04
Co 0.5000 0.5000 0.0000  4 Ca 2.84, 4 Te 2.84-2.85, 4 Co 3.04



The following is a PBE calculation of a relaxed CaCoTe4 crystal, from the Alexandria database.

Results
Crystal system = cubic
E = -3.20 eV per atom
Uncorrected formation energy = 0.41 eV/atom
Total moment = 2.289 μB/cell
Symmetry = F-43m, No. 216

Cell lengths 6.3583, 6.3583, 6.3583 Å; angles 60.00, 60.00, 60.00 degrees
Last column: nearest neighbours and their distance in Å.
Element x y z (fractional)
Ca 0.7500 0.7500 0.7500  12 Te 3.73, 4 Co 3.89
Co 0.0000 0.0000 0.0000  12 Te 3.73, 4 Ca 3.89
Te 0.8781 0.3740 0.3740  6 Te 3.15-3.21
Te 0.3740 0.3740 0.8781  6 Te 3.15-3.21
Te 0.3740 0.8781 0.3740  6 Te 3.15-3.21
Te 0.3740 0.3740 0.3740  6 Te 3.15-3.21
[What to do]
Please echo the block above without additions.
[Result]
The following is a PBE calculation of a relaxed CaCo2Te2 crystal, from the Alexandria database.

Results
Crystal system = tetragonal
E = -4.87 eV per atom
Uncorrected formation energy = -0.37 eV/atom
Total moment = 1.877 μB/cell
Symmetry = I4/mmm, No. 139

Cell lengths 4.0875, 4.0875, 6.9801 Å; angles 72.97, 72.97, 90.00 degrees
Last column: nearest neighbours and their distance in Å.
Element x y z (fractional)
Ca 0.0000 0.0000 0.0000  8 Te 3.37
Te 0.3639 0.3639 0.2723  4 Co 2.50
Te 0.6361 0.6361 0.7277  4 Co 2.50
Co 0.7500 0.2500 0.5000  4 Te 2.50
Co 0.2500 0.7500 0.5000  4 Te 2.50



The following is a PBE calculation of a relaxed Ca4CoTe2 crystal, from the Alexandria database.

Results
Crystal system = tetragonal
E = -3.69 eV per atom
Uncorrected formation energy = -0.64 eV/atom
Total moment = 0.000 μB/cell
Symmetry = I4/mmm, No. 139

Cell lengths 5.0537, 5.0537, 8.9866 Å; angles 73.67, 73.67, 90.00 degrees
Last column: nearest neighbours and their distance in Å.
Element x y z (fractional)
Ca 0.1673 0.1673 0.6653  1 Co 2.76
Ca 0.8327 0.8327 0.3347  1 Co 2.76
Ca 0.0000 0.5000 0.0000  2 Co 2.53
Ca 0.5000 0.0000 0.0000  2 Co 2.53
Te 0.3581 0.3581 0.2838  5 Ca 3.15-3.44
Te 0.6419 0.6419 0.7162  5 Ca 3.15-3.44
Co 0.0000 0.0000 0.0000  6 Ca 2.53-2.76



The following is a PBE calculation of a relaxed CaCo2Te crystal, from the Alexandria database.

Results
Crystal system = cubic
E = -4.50 eV per atom
Uncorrected formation energy = 0.34 eV/atom
Total moment = 2.864 μB/cell
Symmetry = F-43m, No. 216

Cell lengths 4.7083, 4.7083, 4.7083 Å; angles 60.00, 60.00, 60.00 degrees
Last column: nearest neighbours and their distance in Å.
Element x y z (fractional)
Ca 0.5000 0.5000 0.5000  4 Co 2.88, 4 Te 2.88
Te 0.7500 0.7500 0.7500  4 Co 2.88, 4 Ca 2.88
Co 0.0000 0.0000 0.0000  4 Te 2.88, 4 Co 2.88
Co 0.2500 0.2500 0.2500  4 Co 2.88, 4 Ca 2.88



The following is a PBE calculation of a relaxed CaCo2Te crystal, from the Alexandria database.

Results
Crystal system = tetragonal
E = -4.78 eV per atom
Uncorrected formation energy = 0.06 eV/atom
Total moment = 3.728 μB/cell
Symmetry = I-42d, No. 122

Cell lengths 4.6375, 4.6375, 9.1399 Å; angles 75.30, 75.30, 90.00 degrees
Last column: nearest neighbours and their distance in Å.
Element x y z (fractional)
Ca 0.5000 0.5000 0.0000  8 Co 3.25-3.47, 4 Te 3.28
Ca 0.2500 0.7500 0.5000  8 Co 3.25-3.47, 4 Te 3.28
Te 0.0000 0.0000 0.0000  4 Co 2.43
Te 0.7500 0.2500 0.5000  4 Co 2.43
Co 0.8395 0.1250 0.2500  2 Co 2.34, 2 Te 2.43
Co 0.9105 0.6250 0.2500  2 Co 2.34, 2 Te 2.43
Co 0.3750 0.1605 0.7500  2 Co 2.34, 2 Te 2.43
Co 0.8750 0.0895 0.7500  2 Co 2.34, 2 Te 2.43



The following is a PBE calculation of a relaxed CaCo2Te crystal, from the Alexandria database.

Results
Crystal system = monoclinic
E = -4.68 eV per atom
Uncorrected formation energy = 0.16 eV/atom
Total moment = 1.927 μB/cell
Symmetry = P2/m, No. 10

Cell lengths 4.2974, 4.3074, 5.6840 Å; angles 40.83, 90.00, 90.00 degrees
Last column: nearest neighbours and their distance in Å.
Element x y z (fractional)
Ca 0.0000 0.0000 0.5000  8 Co 2.84-2.85, 4 Te 3.04
Te 0.5000 0.5000 0.5000  8 Co 2.84-2.85, 4 Ca 3.04
Co 0.0000 0.0000 0.0000  4 Te 2.84, 4 Ca 2.84-2.85, 4 Co 3.04
Co 0.5000 0.5000 0.0000  4 Ca 2.84, 4 Te 2.84-2.85, 4 Co 3.04



The following is a PBE calculation of a relaxed CaCoTe4 crystal, from the Alexandria database.

Results
Crystal system = cubic
E = -3.20 eV per atom
Uncorrected formation energy = 0.41 eV/atom
Total moment = 2.289 μB/cell
Symmetry = F-43m, No. 216

Cell lengths 6.3583, 6.3583, 6.3583 Å; angles 60.00, 60.00, 60.00 degrees
Last column: nearest neighbours and their distance in Å.
Element x y z (fractional)
Ca 0.7500 0.7500 0.7500  12 Te 3.73, 4 Co 3.89
Co 0.0000 0.0000 0.0000  12 Te 3.73, 4 Ca 3.89
Te 0.8781 0.3740 0.3740  6 Te 3.15-3.21
Te 0.3740 0.3740 0.8781  6 Te 3.15-3.21
Te 0.3740 0.8781 0.3740  6 Te 3.15-3.21
Te 0.3740 0.3740 0.3740  6 Te 3.15-3.21